## Activity
Now give back the whole of the calculation results further down unchanged.

## Listing
Record 1
DFT (PBE) results for a relaxed SrH6C2O6 crystal.

```
data_SrH6C2O6
_cell_length_a 7.212
_cell_length_b 7.467
_cell_length_c 12.212
_cell_angle_alpha 90.00
_cell_angle_beta 90.00
_cell_angle_gamma 90.00
_space_group_name_H-M_alt 'P 21 21 21'
_space_group_IT_number 19
_space_group_name_Hall 'P 2ac 2ab'
loop_
_atom_site_label
_atom_site_fract_x
_atom_site_fract_y
_atom_site_fract_z
Sr1 0.193 0.244 0.428
H1 0.028 0.702 0.422
H2 0.031 0.455 0.929
H3 0.089 0.059 0.658
H4 0.129 0.954 0.256
H5 0.133 0.486 0.690
H6 0.204 0.113 0.833
C1 0.044 0.141 0.007
C2 0.213 0.524 0.187
O1 0.015 0.079 0.590
O2 0.051 0.971 0.003
O3 0.112 0.246 0.936
O4 0.122 0.437 0.259
O5 0.144 0.620 0.112
O6 0.242 0.017 0.780
```

Summary:
- polymorph energy (0 for the lowest one) (meV/atom) = 0
- M_tot (μB per formula unit) = 0.001
- total DFT energy (no corrections) (eV per atom) = -5.991
- DFT formation energy (eV/atom) = -1.587



Record 2
DFT (PBE) results for a relaxed K2Nb3S6 crystal.

```
data_K2Nb3S6
_cell_length_a 15.874
_cell_length_b 10.280
_cell_length_c 5.935
_cell_angle_alpha 90.00
_cell_angle_beta 90.00
_cell_angle_gamma 90.00
_space_group_name_H-M_alt 'A m m 2'
_space_group_IT_number 38
_space_group_name_Hall 'A 2 -2'
loop_
_atom_site_label
_atom_site_fract_x
_atom_site_fract_y
_atom_site_fract_z
K1 0.000 0.167 0.000
K2 0.500 0.167 0.333
Nb1 0.250 0.000 0.499
Nb2 0.250 0.167 0.000
S1 0.153 0.000 0.168
S2 0.153 0.166 0.666
S3 0.347 0.000 0.165
S4 0.347 0.166 0.668
```

Summary:
- total DFT energy (no corrections) (eV per atom) = -6.441
- DFT formation energy (eV/atom) = -1.503



Record 3
DFT (PBE) results for a relaxed HfFeSi2 crystal.

```
data_HfFeSi2
_cell_length_a 5.147
_cell_length_b 7.708
_cell_length_c 16.972
_cell_angle_alpha 90.00
_cell_angle_beta 90.00
_cell_angle_gamma 90.00
_space_group_name_H-M_alt 'I m m m'
_space_group_IT_number 71
_space_group_name_Hall '-I 2 2'
loop_
_atom_site_label
_atom_site_fract_x
_atom_site_fract_y
_atom_site_fract_z
Hf1 0.000 0.000 0.142
Hf2 0.000 0.262 0.404
Fe1 0.000 0.255 0.000
Fe2 0.250 0.250 0.250
Si1 0.000 0.000 0.298
Si2 0.000 0.349 0.139
Si3 0.000 0.500 0.286
Si4 0.241 0.000 0.500
Si5 0.246 0.500 0.500
```

Summary:
- total DFT energy (no corrections) (eV per atom) = -8.005
- DFT formation energy (eV/atom) = -0.650



Record 4
DFT (PBE) results for a relaxed Na2MgGaF7 crystal.

```
data_Na2MgGaF7
_cell_length_a 7.234
_cell_length_b 10.351
_cell_length_c 7.519
_cell_angle_alpha 90.00
_cell_angle_beta 90.00
_cell_angle_gamma 90.00
_space_group_name_H-M_alt 'I m m a'
_space_group_IT_number 74
_space_group_name_Hall '-I 2b 2'
loop_
_atom_site_label
_atom_site_fract_x
_atom_site_fract_y
_atom_site_fract_z
Na1 0.000 0.000 0.000
Na2 0.250 0.250 0.250
Mg1 0.250 0.250 0.750
Ga1 0.000 0.000 0.500
F1 0.000 0.091 0.273
F2 0.000 0.250 0.851
F3 0.195 0.115 0.567
```

Summary:
- M_tot (μB per formula unit) = 0.000
- total DFT energy (no corrections) (eV per atom) = -4.832
- DFT formation energy (eV/atom) = -3.246



Question: Among the records above, which one has the highest total DFT energy (no corrections)?
Answer: Na2MgGaF7

=====

# 1
{
  "formula": "KV5Se8",
  "functional": "meta-GGA r2SCAN",
  "state": "relaxed",
  "lattice": [[9.298, -1.850, 0.000], [9.298, 1.850, 0.000], [-2.243, 0.000, 8.678]],
  "species": ["K", "V", "V", "V", "V", "V", "Se", "Se", "Se", "Se", "Se", "Se", "Se", "Se"],
  "fractional_positions": [[0.000, 0.000, 0.000], [0.151, 0.151, 0.480], [0.213, 0.213, 0.850], [0.500, 0.500, 0.500], [0.787, 0.787, 0.150], [0.849, 0.849, 0.520], [0.074, 0.074, 0.667], [0.261, 0.261, 0.342], [0.338, 0.338, 0.012], [0.415, 0.415, 0.685], [0.585, 0.585, 0.315], [0.662, 0.662, 0.988], [0.739, 0.739, 0.658], [0.926, 0.926, 0.333]]
}

# 2
{
  "formula": "K3VSe4",
  "functional": "meta-GGA r2SCAN",
  "state": "relaxed",
  "lattice": [[-3.504, 3.504, 6.489], [3.504, -3.504, 6.489], [3.504, 3.504, -6.489]],
  "species": ["K", "K", "K", "V", "Se", "Se", "Se", "Se"],

## Written answer
Record 1
DFT (PBE) results for a relaxed SrH6C2O6 crystal.

```
data_SrH6C2O6
_cell_length_a 7.212
_cell_length_b 7.467
_cell_length_c 12.212
_cell_angle_alpha 90.00
_cell_angle_beta 90.00
_cell_angle_gamma 90.00
_space_group_name_H-M_alt 'P 21 21 21'
_space_group_IT_number 19
_space_group_name_Hall 'P 2ac 2ab'
loop_
_atom_site_label
_atom_site_fract_x
_atom_site_fract_y
_atom_site_fract_z
Sr1 0.193 0.244 0.428
H1 0.028 0.702 0.422
H2 0.031 0.455 0.929
H3 0.089 0.059 0.658
H4 0.129 0.954 0.256
H5 0.133 0.486 0.690
H6 0.204 0.113 0.833
C1 0.044 0.141 0.007
C2 0.213 0.524 0.187
O1 0.015 0.079 0.590
O2 0.051 0.971 0.003
O3 0.112 0.246 0.936
O4 0.122 0.437 0.259
O5 0.144 0.620 0.112
O6 0.242 0.017 0.780
```

Summary:
- polymorph energy (0 for the lowest one) (meV/atom) = 0
- M_tot (μB per formula unit) = 0.001
- total DFT energy (no corrections) (eV per atom) = -5.991
- DFT formation energy (eV/atom) = -1.587



Record 2
DFT (PBE) results for a relaxed K2Nb3S6 crystal.

```
data_K2Nb3S6
_cell_length_a 15.874
_cell_length_b 10.280
_cell_length_c 5.935
_cell_angle_alpha 90.00
_cell_angle_beta 90.00
_cell_angle_gamma 90.00
_space_group_name_H-M_alt 'A m m 2'
_space_group_IT_number 38
_space_group_name_Hall 'A 2 -2'
loop_
_atom_site_label
_atom_site_fract_x
_atom_site_fract_y
_atom_site_fract_z
K1 0.000 0.167 0.000
K2 0.500 0.167 0.333
Nb1 0.250 0.000 0.499
Nb2 0.250 0.167 0.000
S1 0.153 0.000 0.168
S2 0.153 0.166 0.666
S3 0.347 0.000 0.165
S4 0.347 0.166 0.668
```

Summary:
- total DFT energy (no corrections) (eV per atom) = -6.441
- DFT formation energy (eV/atom) = -1.503



Record 3
DFT (PBE) results for a relaxed HfFeSi2 crystal.

```
data_HfFeSi2
_cell_length_a 5.147
_cell_length_b 7.708
_cell_length_c 16.972
_cell_angle_alpha 90.00
_cell_angle_beta 90.00
_cell_angle_gamma 90.00
_space_group_name_H-M_alt 'I m m m'
_space_group_IT_number 71
_space_group_name_Hall '-I 2 2'
loop_
_atom_site_label
_atom_site_fract_x
_atom_site_fract_y
_atom_site_fract_z
Hf1 0.000 0.000 0.142
Hf2 0.000 0.262 0.404
Fe1 0.000 0.255 0.000
Fe2 0.250 0.250 0.250
Si1 0.000 0.000 0.298
Si2 0.000 0.349 0.139
Si3 0.000 0.500 0.286
Si4 0.241 0.000 0.500
Si5 0.246 0.500 0.500
```

Summary:
- total DFT energy (no corrections) (eV per atom) = -8.005
- DFT formation energy (eV/atom) = -0.650



Record 4
DFT (PBE) results for a relaxed Na2MgGaF7 crystal.

```
data_Na2MgGaF7
_cell_length_a 7.234
_cell_length_b 10.351
_cell_length_c 7.519
_cell_angle_alpha 90.00
_cell_angle_beta 90.00
_cell_angle_gamma 90.00
_space_group_name_H-M_alt 'I m m a'
_space_group_IT_number 74
_space_group_name_Hall '-I 2b 2'
loop_
_atom_site_label
_atom_site_fract_x
_atom_site_fract_y
_atom_site_fract_z
Na1 0.000 0.000 0.000
Na2 0.250 0.250 0.250
Mg1 0.250 0.250 0.750
Ga1 0.000 0.000 0.500
F1 0.000 0.091 0.273
F2 0.000 0.250 0.851
F3 0.195 0.115 0.567
```

Summary:
- M_tot (μB per formula unit) = 0.000
- total DFT energy (no corrections) (eV per atom) = -4.832
- DFT formation energy (eV/atom) = -3.246



Question: Among the records above, which one has the highest total DFT energy (no corrections)?
Answer: Na2MgGaF7

=====

# 1
{
  "formula": "KV5Se8",
  "functional": "meta-GGA r2SCAN",
  "state": "relaxed",
  "lattice": [[9.298, -1.850, 0.000], [9.298, 1.850, 0.000], [-2.243, 0.000, 8.678]],
  "species": ["K", "V", "V", "V", "V", "V", "Se", "Se", "Se", "Se", "Se", "Se", "Se", "Se"],
  "fractional_positions": [[0.000, 0.000, 0.000], [0.151, 0.151, 0.480], [0.213, 0.213, 0.850], [0.500, 0.500, 0.500], [0.787, 0.787, 0.150], [0.849, 0.849, 0.520], [0.074, 0.074, 0.667], [0.261, 0.261, 0.342], [0.338, 0.338, 0.012], [0.415, 0.415, 0.685], [0.585, 0.585, 0.315], [0.662, 0.662, 0.988], [0.739, 0.739, 0.658], [0.926, 0.926, 0.333]]
}

# 2
{
  "formula": "K3VSe4",
  "functional": "meta-GGA r2SCAN",
  "state": "relaxed",
  "lattice": [[-3.504, 3.504, 6.489], [3.504, -3.504, 6.489], [3.504, 3.504, -6.489]],
  "species": ["K", "K", "K", "V", "Se", "Se", "Se", "Se"],